Long distance gold from Noord-Holland !! The foundation are Sam de Jong’s basic pigeons, which brought a.o. Nico Volkens and Jan Roelofs to the absolute top. Their basic couples “HET BONTE KOPPEL”, “DE 100 x DE 010” and “HET MONTAR KOPPEL”, all with pigeons from Sam de Jong as their origin became famous all over the world !
In the picture (l.) Nico Volkens, (m.) Sam de Jong, (r.) Peter Jaarsma (on the boat from Harlingen to “Waddeneiland” Vlieland)
## Calculated molecules, kept here for reference
-- begin --
Below is 5 unconnected molecules or ions with the total composition H10O5 at a distorted geometry, with properties calculated with ωB97M-V/def2-TZVPD.

Structure (XYZ):
```
15
Properties=species:S:1:pos:R:3
O 2.40513 -0.03590 2.63697
O 0.06923 0.17167 1.30024
O -0.35940 -1.62246 -0.63200
O -2.45720 0.01630 -1.75565
O 0.38388 1.69864 -1.43548
H -0.29884 -0.50035 0.78793
H -0.31244 0.11132 2.16378
H 2.65621 0.90150 2.62946
H 1.63803 0.00653 2.08357
H 0.66840 0.81119 -1.78069
H -1.02795 -2.12898 -1.08017
H 0.63752 1.71452 -0.56437
H -1.68892 0.32519 -1.33561
H 0.44764 -2.13608 -0.63641
H -2.76128 0.66692 -2.38159
```
-- stop --
## Here the piece continues
Sam de Jong had a few superbreeders too, with as absolute number one, the “SUPERKWEKER 094”, ancestor of Sam de Jong’s loft. He is a son of the famous “DE 404” NL87-5799404 (son to “DE LIGTENBERG DOFFER” x “VAN ZELDEREN DUIVIN”) paired to the “BARCELONA 2”. The cock of the “MONTAR KOPPEL” is inbred to “DE LIGTENBERG DOFFER” x “VAN ZELDEREN DUIVIN”. Before she became a pillar under the foudation of the “Noordhollands fondsoort”, the “BARCELONA II” performed phenomenally in the Pyrenees races and won a.o. 34th National Barcelona 6,070 p., 68th National Barcelona 7,243 p., 54th National Perpignan 3,448 p. and 448th National Barcelona 8,102 p.
Here’s a short video of Sam de Jong on YouTube:
The “BARCELONA 2” is a daughter of the “BARCELONA 1”. The “BARCELONA 1” is mother to “DE 100”, “DE 010” and “DE 009” (hen of the “BONTE KOPPEL”). The hen of the “MONTAR KOPPEL” has a daughter of “HET BONTE KOPPEL” as mother. As you can see these worldfamous coujples are all related to each other and strong inbred !
In the province Noord-Holland alone, there are dozens of marathon fanciers who would not have become so extremely succesful without the input of the Sam de Jong pigeons through Sam’s pigeons or the three famous couples “BONTE KOPPEL”, “100×10” and “MONTAR KOPPEL” : NICO VOLKENS, JAN ROELOFS, KEES NIESTEN, CEES VAN DER LAAN, COMB. VERWEIJ – DE HAAN, MARLON KOK, GERTJAN RIGTER, DIRK PALS, KEES DROOG, GEBROEDERS JACOBS, LEO PRONK, DIRK & ELITSA VELDHUIS, COMB. HOMMES & ZNN and many, many others …
Many people fly very good with pigeons from Peter Jaarsma and the latest references are:
Sj. Grouwstra wins a 2nd International – mother direct Peter Jaarsma
Klaas Buwalda – 4 International – mother direct Peter Jaarsma
L. Bakker – 28 International – father direct Peter Jaarsma
Klaas Buwalda – 40 International Barcelona (1.318 km !!) ’24 – pigeon is direct Peter Jaarsma
5th (1st National Yearling) National Poznan at Valeriu Rosca in Romania – pigeon is direct Peter Jaarsma ! (see video below)
A few years ago Peter Jaarsma came into contact with Sam de Jong. At the time Sam has retired from the pigeonsport, but he had a few pigeons where he was very fond of, left from his old strain. These pigeons moved to Peter and with the help and advise of Sam (they call each other multiple times a week) Peter got kickstarted and became one of the most succesful fanciers in the province Friesland. You should know that Peter Jaarsma is living in Harlingen (look it up in the map of The Netherlands), close to the Waddenzee, far in the overflight !
Results of Peter Jaarsma on the ZLU flights in 2023 in sector 4 :
3, 7 Interprovincial s4 Narbonne ZLU
5 Interprovincial s4 Agen ZLU
10 Interprovincial s4 Barcelona ZLU
11 Interprovincial s4 Marseille ZLU
{"formula": "C12H41N3O11Si", "method": "the ωB97M-V functional and the def2-TZVPD basis", "species": ["Si", "O", "O", "O", "O", "O", "O", "O", "O", "O", "O", "O", "N", "N", "N", "C", "C", "C", "C", "C", "C", "C", "C", "C", "C", "C", "C", "H", "H", "H", "H", "H", "H", "H", "H", "H", "H", "H", "H", "H", "H", "H", "H", "H", "H", "H", "H", "H", "H", "H", "H", "H", "H", "H", "H", "H", "H", "H", "H", "H", "H", "H", "H", "H", "H", "H", "H", "H"], "coordinates": [[-2.15, 2.55, -1.78], [-0.15, -3.30, 3.15], [3.81, 0.25, 2.27], [4.07, -2.72, 3.15], [-1.44, -1.41, -4.26], [3.55, -2.93, -0.36], [4.41, 3.97, 1.79], [-1.45, 0.97, -1.58], [-1.64, -1.95, 5.65], [1.27, 2.70, -1.90], [1.17, -4.97, 4.57], [2.41, -5.17, -2.54], [-4.42, 0.28, -1.63], [-5.68, 1.34, 0.11], [-5.94, 2.11, -2.14], [0.20, -2.48, -0.73], [0.42, -1.45, 0.46], [2.29, 1.75, -1.51], [1.62, 0.30, -1.33], [0.71, -2.08, -2.18], [-3.78, 2.68, -0.80], [1.41, -0.71, -2.49], [0.55, 3.23, -0.76], [-0.87, 3.88, -1.20], [1.12, -0.11, 0.12], [-4.91, 1.61, -1.17], [1.46, 4.35, 0.00], [1.73, -0.48, -3.57], [3.34, -5.01, -2.33], [-1.46, 0.73, -0.62], [1.19, -5.92, 4.36], [-4.14, 0.27, -2.62], [-2.59, -1.79, 5.70], [-1.41, -1.62, 4.77], [-1.31, 4.32, -0.22], [-0.24, -3.59, 4.07], [-6.06, 0.38, -0.02], [-1.24, -0.93, -3.44], [2.51, 3.96, 0.26], [-0.72, 4.71, -1.96], [0.30, 2.45, 0.04], [1.26, 0.67, 0.95], [-2.33, 2.73, -3.24], [-4.91, 1.18, 0.80], [0.51, -2.81, -3.04], [4.43, 3.03, 1.57], [-4.23, 3.72, -1.06], [1.87, -4.87, 5.22], [-3.71, -0.14, -1.01], [2.75, -2.42, -0.17], [0.95, 4.55, 1.02], [3.35, -3.82, -0.02], [2.94, 2.07, -0.63], [4.96, -2.96, 3.42], [3.37, -0.29, 1.60], [4.14, -2.59, 2.20], [-3.51, 2.73, 0.31], [1.96, -4.40, -2.19], [1.51, 5.31, -0.63], [-2.22, -1.93, -4.05], [0.12, -4.10, 2.68], [2.99, 1.65, -2.43], [3.32, 0.06, 3.08], [5.11, 4.07, 2.45], [0.08, -1.64, 1.53], [-5.60, 2.06, -3.11], [-0.34, -3.45, -0.50], [-6.71, 1.41, -2.05]], "nbo_charge": [1.64, -0.97, -0.95, -0.95, -0.95, -0.95, -0.95, -1.08, -0.94, -0.54, -0.95, -0.94, -0.90, -0.82, -0.83, -0.27, -0.27, -0.11, 0.00, -0.24, -0.95, -0.22, 0.12, -0.90, -0.30, 0.42, -0.65, 0.25, 0.47, 0.49, 0.47, 0.37, 0.47, 0.47, 0.23, 0.50, 0.36, 0.49, 0.23, 0.25, 0.16, 0.23, -0.21, 0.34, 0.25, 0.48, 0.27, 0.48, 0.37, 0.49, 0.21, 0.47, 0.20, 0.47, 0.47, 0.48, 0.24, 0.47, 0.22, 0.47, 0.47, 0.21, 0.48, 0.47, 0.27, 0.35, 0.24, 0.37], "total_energy_ha": -1763.0746, "e_lumo_ev": -0.021, "gap_ha": 0.3348, "smiles": "C[C@@H](C[Si@@H](O)CC(N)(N)N)OCc1ccccc1.O.O.O.O.O.O.O.O.O"}
In 2024:
13, 31 Interprovincial Agen ZLU (3 pigeons basketted)
9, 28 Interprovincial Narbonne ZLU (3 pigeons basketted)
27, 48, 124 Interprovincial Barcelona ZLU (5 pigeons basketted)
Note: the sexe of the pigeons is considered correct by Peter Jaarsma, but is not 100% guaranteed.
For more information concerning the pigeons in this auction, please contact PETER JAARSMA:
Phone: +31 (0)651 966 149
Email: pjaarsma1@hotmail.com